# Input
********
Record 1
Crystalline ThB2Ru2 at its relaxed geometry, computed with PBE.

a b c (Å): 6.466 6.466 14.697
angles (deg): 102.71 102.71 90.00
Atoms (fractional coordinates):
Th 0.125 0.375 0.250
Th 0.125 0.875 0.250
Th 0.125 0.875 0.750
Th 0.625 0.375 0.250
Th 0.625 0.875 0.750
Th 0.625 0.875 0.250
Th 0.625 0.375 0.750
Th 0.125 0.375 0.750
B 0.416 0.248 0.559
B 0.144 0.311 0.559
B 0.561 0.166 0.059
B 0.334 0.939 0.941
B 0.834 0.502 0.941
B 0.498 0.894 0.059
B 0.606 0.002 0.941
B 0.106 0.439 0.941
B 0.189 0.356 0.441
B 0.689 0.584 0.441
B 0.252 0.084 0.441
B 0.752 0.856 0.441
B 0.916 0.811 0.559
B 0.644 0.748 0.559
B 0.998 0.666 0.059
B 0.061 0.394 0.059
Ru 0.513 0.286 0.430
Ru 0.917 0.144 0.430
Ru 0.394 0.263 0.930
Ru 0.237 0.106 0.070
Ru 0.737 0.464 0.070
Ru 0.536 0.667 0.930
Ru 0.833 0.964 0.070
Ru 0.333 0.606 0.070
Ru 0.356 0.583 0.570
Ru 0.856 0.487 0.570
Ru 0.214 0.987 0.570
Ru 0.714 0.083 0.570
Ru 0.013 0.644 0.430
Ru 0.417 0.786 0.430
Ru 0.036 0.763 0.930
Ru 0.894 0.167 0.930

## Properties
ΔE_f = 0.00 eV/atom
Raw total energy = -7.863 eV/atom
Calculated volume = 14.6 Å³ per atom
Crystal system = tetragonal

Record 2
Crystalline LiLu2Ru at its relaxed geometry, computed with PBE.

a b c (Å): 4.809 4.809 4.809
angles (deg): 60.00 60.00 60.00
Atoms (fractional coordinates):
Li 0.500 0.500 0.500
Lu 0.250 0.250 0.250
Lu 0.750 0.750 0.750
Ru 0.000 0.000 0.000

## Properties
ΔE_f = -0.36 eV/atom
Raw total energy = -5.418 eV/atom
Calculated volume = 19.7 Å³ per atom
Crystal system = cubic

Record 3
Crystalline Na3CaInP2SO12 at its relaxed geometry, computed with PBE.

a b c (Å): 9.308 9.255 22.996
angles (deg): 90.49 90.00 120.19
Atoms (fractional coordinates):
Na 0.358 0.353 0.246
Na 0.003 0.636 0.245
Na 0.633 0.636 0.745
Na 0.995 0.353 0.746
Na 0.025 0.686 0.579
Na 0.670 0.970 0.578
Na 0.300 0.970 0.078
Na 0.661 0.686 0.079
Na 0.692 0.020 0.913
Na 0.337 0.303 0.912
Na 0.967 0.303 0.412
Na 0.328 0.020 0.413
Na 0.978 0.984 0.498
Na 0.005 0.984 0.998
Na 0.645 0.317 0.832
Na 0.672 0.317 0.332
Na 0.312 0.651 0.165
Na 0.339 0.651 0.665
Ca 0.988 0.993 0.351
Ca 0.005 0.993 0.851
Ca 0.655 0.326 0.684
Ca 0.671 0.326 0.184
Ca 0.322 0.660 0.017
Ca 0.338 0.660 0.517
In 0.002 0.013 0.652
In 0.011 0.013 0.152
In 0.668 0.346 0.985
In 0.678 0.346 0.485
In 0.335 0.679 0.319
In 0.344 0.679 0.819
P 0.296 0.995 0.252
P 0.011 0.308 0.255
P 0.297 0.308 0.755
P 0.699 0.995 0.752
P 0.963 0.328 0.585
P 0.678 0.641 0.588
P 0.964 0.641 0.088
P 0.365 0.328 0.085
P 0.630 0.662 0.919
P 0.344 0.975 0.921
P 0.630 0.975 0.421
P 0.032 0.662 0.419
S 0.693 0.701 0.247
S 0.008 0.701 0.747
S 0.360 0.035 0.581
S 0.675 0.035 0.081
S 0.027 0.368 0.914
S 0.341 0.368 0.414
O 0.212 0.012 0.306
O 0.798 0.786 0.298
O 0.993 0.215 0.310
O 0.222 0.215 0.810
O 0.989 0.786 0.798
O 0.800 0.012 0.806
O 0.779 0.964 0.696
O 0.184 0.217 0.700
O 0.029 0.798 0.693
O 0.768 0.798 0.193
O 0.033 0.217 0.200
O 0.185 0.964 0.196
O 0.879 0.345 0.640
O 0.464 0.120 0.631
O 0.660 0.548 0.644
O 0.889 0.548 0.144
O 0.656 0.120 0.131
O 0.466 0.345 0.140
O 0.446 0.298 0.029
O 0.851 0.551 0.034
O 0.696 0.131 0.026
O 0.435 0.131 0.526
O 0.700 0.551 0.534
O 0.852 0.298 0.529
O 0.546 0.679 0.973
O 0.131 0.453 0.965
O 0.326 0.882 0.977
O 0.555 0.882 0.477
O 0.322 0.453 0.465
O 0.133 0.679 0.473
O 0.112 0.631 0.363
O 0.518 0.884 0.367
O 0.363 0.464 0.360
O 0.102 0.464 0.860
O 0.366 0.884 0.867
O 0.519 0.631 0.863
O 0.021 0.821 0.414
O 0.810 0.011 0.415
O 0.191 0.200 0.411
O 0.009 0.200 0.911
O 0.200 0.011 0.915
O 0.800 0.821 0.914
O 0.974 0.164 0.586
O 0.189 0.012 0.586
O 0.848 0.816 0.588
O 0.968 0.816 0.088
O 0.823 0.012 0.086
O 0.190 0.164 0.086
O 0.688 0.155 0.747
O 0.477 0.344 0.749
O 0.858 0.533 0.744
O 0.676 0.533 0.244
O 0.867 0.344 0.249
O 0.467 0.155 0.247
O 0.640 0.497 0.920
O 0.856 0.345 0.919
O 0.515 0.150 0.921
O 0.635 0.150 0.421
O 0.490 0.345 0.419
O 0.857 0.497 0.420
O 0.355 0.488 0.080
O 0.144 0.677 0.082
O 0.524 0.867 0.078
O 0.342 0.867 0.578
O 0.534 0.677 0.582
O 0.133 0.488 0.580
********

# Activity
The reader should print the lines earlier on up to the one that holds "0.249", that line included.

# Response
Record 1
Crystalline ThB2Ru2 at its relaxed geometry, computed with PBE.

a b c (Å): 6.466 6.466 14.697
angles (deg): 102.71 102.71 90.00
Atoms (fractional coordinates):
Th 0.125 0.375 0.250
Th 0.125 0.875 0.250
Th 0.125 0.875 0.750
Th 0.625 0.375 0.250
Th 0.625 0.875 0.750
Th 0.625 0.875 0.250
Th 0.625 0.375 0.750
Th 0.125 0.375 0.750
B 0.416 0.248 0.559
B 0.144 0.311 0.559
B 0.561 0.166 0.059
B 0.334 0.939 0.941
B 0.834 0.502 0.941
B 0.498 0.894 0.059
B 0.606 0.002 0.941
B 0.106 0.439 0.941
B 0.189 0.356 0.441
B 0.689 0.584 0.441
B 0.252 0.084 0.441
B 0.752 0.856 0.441
B 0.916 0.811 0.559
B 0.644 0.748 0.559
B 0.998 0.666 0.059
B 0.061 0.394 0.059
Ru 0.513 0.286 0.430
Ru 0.917 0.144 0.430
Ru 0.394 0.263 0.930
Ru 0.237 0.106 0.070
Ru 0.737 0.464 0.070
Ru 0.536 0.667 0.930
Ru 0.833 0.964 0.070
Ru 0.333 0.606 0.070
Ru 0.356 0.583 0.570
Ru 0.856 0.487 0.570
Ru 0.214 0.987 0.570
Ru 0.714 0.083 0.570
Ru 0.013 0.644 0.430
Ru 0.417 0.786 0.430
Ru 0.036 0.763 0.930
Ru 0.894 0.167 0.930

## Properties
ΔE_f = 0.00 eV/atom
Raw total energy = -7.863 eV/atom
Calculated volume = 14.6 Å³ per atom
Crystal system = tetragonal

Record 2
Crystalline LiLu2Ru at its relaxed geometry, computed with PBE.

a b c (Å): 4.809 4.809 4.809
angles (deg): 60.00 60.00 60.00
Atoms (fractional coordinates):
Li 0.500 0.500 0.500
Lu 0.250 0.250 0.250
Lu 0.750 0.750 0.750
Ru 0.000 0.000 0.000

## Properties
ΔE_f = -0.36 eV/atom
Raw total energy = -5.418 eV/atom
Calculated volume = 19.7 Å³ per atom
Crystal system = cubic

Record 3
Crystalline Na3CaInP2SO12 at its relaxed geometry, computed with PBE.

a b c (Å): 9.308 9.255 22.996
angles (deg): 90.49 90.00 120.19
Atoms (fractional coordinates):
Na 0.358 0.353 0.246
Na 0.003 0.636 0.245
Na 0.633 0.636 0.745
Na 0.995 0.353 0.746
Na 0.025 0.686 0.579
Na 0.670 0.970 0.578
Na 0.300 0.970 0.078
Na 0.661 0.686 0.079
Na 0.692 0.020 0.913
Na 0.337 0.303 0.912
Na 0.967 0.303 0.412
Na 0.328 0.020 0.413
Na 0.978 0.984 0.498
Na 0.005 0.984 0.998
Na 0.645 0.317 0.832
Na 0.672 0.317 0.332
Na 0.312 0.651 0.165
Na 0.339 0.651 0.665
Ca 0.988 0.993 0.351
Ca 0.005 0.993 0.851
Ca 0.655 0.326 0.684
Ca 0.671 0.326 0.184
Ca 0.322 0.660 0.017
Ca 0.338 0.660 0.517
In 0.002 0.013 0.652
In 0.011 0.013 0.152
In 0.668 0.346 0.985
In 0.678 0.346 0.485
In 0.335 0.679 0.319
In 0.344 0.679 0.819
P 0.296 0.995 0.252
P 0.011 0.308 0.255
P 0.297 0.308 0.755
P 0.699 0.995 0.752
P 0.963 0.328 0.585
P 0.678 0.641 0.588
P 0.964 0.641 0.088
P 0.365 0.328 0.085
P 0.630 0.662 0.919
P 0.344 0.975 0.921
P 0.630 0.975 0.421
P 0.032 0.662 0.419
S 0.693 0.701 0.247
S 0.008 0.701 0.747
S 0.360 0.035 0.581
S 0.675 0.035 0.081
S 0.027 0.368 0.914
S 0.341 0.368 0.414
O 0.212 0.012 0.306
O 0.798 0.786 0.298
O 0.993 0.215 0.310
O 0.222 0.215 0.810
O 0.989 0.786 0.798
O 0.800 0.012 0.806
O 0.779 0.964 0.696
O 0.184 0.217 0.700
O 0.029 0.798 0.693
O 0.768 0.798 0.193
O 0.033 0.217 0.200
O 0.185 0.964 0.196
O 0.879 0.345 0.640
O 0.464 0.120 0.631
O 0.660 0.548 0.644
O 0.889 0.548 0.144
O 0.656 0.120 0.131
O 0.466 0.345 0.140
O 0.446 0.298 0.029
O 0.851 0.551 0.034
O 0.696 0.131 0.026
O 0.435 0.131 0.526
O 0.700 0.551 0.534
O 0.852 0.298 0.529
O 0.546 0.679 0.973
O 0.131 0.453 0.965
O 0.326 0.882 0.977
O 0.555 0.882 0.477
O 0.322 0.453 0.465
O 0.133 0.679 0.473
O 0.112 0.631 0.363
O 0.518 0.884 0.367
O 0.363 0.464 0.360
O 0.102 0.464 0.860
O 0.366 0.884 0.867
O 0.519 0.631 0.863
O 0.021 0.821 0.414
O 0.810 0.011 0.415
O 0.191 0.200 0.411
O 0.009 0.200 0.911
O 0.200 0.011 0.915
O 0.800 0.821 0.914
O 0.974 0.164 0.586
O 0.189 0.012 0.586
O 0.848 0.816 0.588
O 0.968 0.816 0.088
O 0.823 0.012 0.086
O 0.190 0.164 0.086
O 0.688 0.155 0.747
O 0.477 0.344 0.749
O 0.858 0.533 0.744
O 0.676 0.533 0.244
O 0.867 0.344 0.249